What a wild and crazy summer it has been, and now we are halfway through fall.
Tank and I have spent the summer getting ourselves healthy. Today I will talk about me . . . but don't worry, I'll tell you all about Tank in the next post.
Me ... that has been my focus as of late. Trying to get healthy enough to do ... anything! Doctor visits, lab work, podiatrist, physical therapy, oral health, and mental health care. That was my summer.
I started out strong, doing things and I hurt my back. Was it Tank? Was is gardening? I have no idea but half of June and July was working on being able to sit with any comfort. Moving was not as issue as much as sitting. Sitting to drive to see Tank. Sitting to write on the computer. Sitting to read a book. Sitting to do something other than stand. It was horrible.
As soon as that started to clear up my feet were getting worse, probably because I was standing to avoid sitting. So, off to the podiatrist. Earlier in the spring a drill was dropped on my foot and apparently pushed the bones in my toe apart a little. It makes it feel like I have a bruise on the ball of my foot all the time. So I start walking more on my left foot ... guess what! I got plantars fasciitis in my left foot. Trying to be good to my feet I was wearing good walking shoes. It took well in to August to realize that the shoe was aggravating my condition.
Well, I got some inserts from the podiatrist. Yea! that helped get my feet back in order and even helped make my walking shoes good for walking. On the right track, right?
So head out to the barn. A friend at the barn was putting some rides on Tank. I have his weigh issues under control (more on that later) so even though I am still too heavy for him, I think he can handle walking around with me on him.
I get on him and he give a little cow hop. Okay ... maybe not ... I hop off. More because I got nervous than because he was acting out. Left leg is okay but my right knee gives out.
Sick stomach ...
Light headed ...
popping as I try to walk. ...
Tank is a trooper and calm as ever. I walk him over to where I can sit down for a moment. Eventually I get up and put him away. Driving is painful but by the end of the drive I am doing okay.
Great! Maybe I am not hurt as badly as I thought.
What comes next are crystal structures, not part of the piece
********
## RbHSeO4 (GGA-PBE)

Data for a relaxed RbHSeO4 crystal.

Geometry as POSCAR:
```
RbHSeO4
1.0
-2.957 -0.190 -3.599
-5.630 -2.248 4.744
-3.311 12.626 2.053
H O Rb Se
4 16 4 4
direct
0.281 0.826 0.888
0.719 0.326 0.612
0.219 0.174 0.388
0.781 0.674 0.112
0.420 0.571 0.718
0.014 0.326 0.669
0.840 0.081 0.969
0.580 0.071 0.782
0.029 0.183 0.428
0.660 0.919 0.469
0.986 0.826 0.831
0.471 0.817 0.928
0.514 0.174 0.331
0.971 0.683 0.072
0.486 0.674 0.169
0.080 0.429 0.218
0.920 0.929 0.282
0.160 0.581 0.531
0.340 0.419 0.031
0.529 0.317 0.572
0.316 0.051 0.122
0.816 0.449 0.878
0.184 0.949 0.622
0.684 0.551 0.378
0.730 0.959 0.874
0.270 0.459 0.626
0.230 0.541 0.126
0.770 0.041 0.374
```

For the formation enthalpy at 0 K, the calculation gives -1.5062 eV per atom. The calculation puts the calculated total energy at -0.186 hartree per atom. Its density is 3214 kg/m3. The total magnetization is 0.00 μB per atom. As for the space group: P2_12_12_1, No. 19.


First-principles (GGA-PBE) data for NaMgSnPS2O12 after structural relaxation, as listed in the Materials Project database.

a = 15.0793 Å, b = 8.6677 Å, c = 22.8348 Å
α = 90.00°, β = 90.44°, γ = 90.00°
Closest atoms and distances in Å follow each position.
Space group Cc (No. 9)
One atom of each set of equivalent atoms:
Na: 0.0000 0.0006 0.0000 x4  4 O 2.36-2.63
Na: 0.1828 0.4821 0.6664 x4  4 O 2.37-2.60
Na: 0.3364 0.0140 0.8336 x4  4 O 2.35-2.61
Mg: 0.0107 0.0006 0.3580 x4  6 O 1.97-2.13
Mg: 0.1859 0.4991 0.5245 x4  5 O 1.95-2.11
Mg: 0.3395 0.0086 0.6921 x4  6 O 1.93-2.15
Sn: 0.0100 0.0017 0.1558 x4  6 O 1.99-2.13
Sn: 0.1807 0.4846 0.8224 x4  6 O 1.99-2.14
Sn: 0.3442 0.0033 0.4893 x4  6 O 2.00-2.13
P: 0.1557 0.1429 0.7574 x4  4 O 1.50-1.59
P: 0.3282 0.3494 0.9248 x4  4 O 1.50-1.59
P: 0.3453 0.2940 0.5909 x4  4 O 1.50-1.59
S: 0.0131 0.2979 0.2579 x4  4 O 1.45-1.52
S: 0.0308 0.3549 0.9242 x4  4 O 1.45-1.52
S: 0.1771 0.2101 0.4224 x4  4 O 1.45-1.52
S: 0.1964 0.1476 0.0901 x4  4 O 1.45-1.52
S: 0.3628 0.3509 0.2566 x4  4 O 1.45-1.52
S: 0.4917 0.1461 0.0907 x4  4 O 1.45-1.52
O: 0.0013 0.1977 0.3080 x4  1 S 1.45
O: 0.0025 0.1802 0.5934 x4  1 S 1.52
O: 0.0231 0.1876 0.9175 x4  1 S 1.46
O: 0.0292 0.2090 0.2018 x4  1 S 1.52
O: 0.0661 0.4282 0.8686 x4  1 S 1.52
O: 0.0787 0.4257 0.5833 x4  1 S 1.46
O: 0.0835 0.3947 0.9753 x4  1 S 1.45
O: 0.0967 0.3925 0.2632 x4  1 S 1.51
O: 0.1003 0.1089 0.4158 x4  1 S 1.46
O: 0.1005 0.1234 0.6984 x4  1 P 1.59
O: 0.1068 0.0707 0.0940 x4  1 S 1.51
O: 0.1075 0.0836 0.8101 x4  1 P 1.50
O: 0.1641 0.3263 0.7584 x4  1 P 1.59
O: 0.1679 0.3066 0.4738 x4  1 S 1.45
O: 0.1835 0.3137 0.0830 x4  1 S 1.46
O: 0.1915 0.3024 0.3670 x4  1 S 1.51
O: 0.2331 0.0773 0.0346 x4  1 S 1.52
O: 0.2477 0.0725 0.7515 x4  1 P 1.52
O: 0.2515 0.1157 0.1410 x4  1 S 1.45
O: 0.2603 0.1121 0.4259 x4  1 S 1.52
O: 0.2637 0.3953 0.5842 x4  1 P 1.52
O: 0.2703 0.4178 0.2605 x4  1 S 1.51
O: 0.2725 0.3631 0.8655 x4  1 P 1.59
O: 0.2808 0.4149 0.9768 x4  1 P 1.50
O: 0.3361 0.1667 0.9289 x4  1 P 1.59
********
Until I try to get out of the car. I can't walk.
The page is interrupted by crystal structures:
<<<
## CsICl2 (r2SCAN)

Data for a relaxed CsICl2 crystal.

Properties
* crystal system: trigonal
* raw total energy: -16.742 eV/atom
* total magnetization: 0.00 μB per formula unit

POSCAR file:
```
CsICl2
1.0
-3.2570 -4.3558 -1.0592
3.0543 -4.6161 -0.2572
-0.7094 -2.9861 4.6134
Cs I Cl
1 1 2
Cartesian
0.0000 0.0000 0.0000
-0.4561 -5.9790 1.6485
-0.6436 -8.4370 2.3262
-0.2686 -3.5209 0.9708
```

=====

Density functional theory data (GGA-PBE) for a geometry-optimized HfAlPt2 structure.

a = 4.5693 Å, b = 4.5693 Å, c = 7.9392 Å
α = 90.00°, β = 90.00°, γ = 120.00°
Fractional coordinates of all 8 atoms:
1 Hf 0.0000 0.0000 0.0000
2 Hf 0.0000 0.0000 0.5000
3 Al 0.6667 0.3333 0.7500
4 Al 0.3333 0.6667 0.2500
5 Pt 0.6667 0.3333 0.4184
6 Pt 0.3333 0.6667 0.5816
>>>
Long story short (too late) I have done something to my knee I just don't know what yet. MRI scheduled.
Ugg ... I take 2 steps forward and 1 back. It hard to see any progress.
But that I one reason I want to start blogging for myself again. So I can see my progress.